Part 16 (2/2)
We bent and cut and sprang to our feet, and dashed for the wall There was a sound of rushi+ng feet--our backs hugged the kindly rock--I heard Harry's shout, ”Here they co at my throat
I felt the blade offlesh, and a warm, thick liquid flow over my hand and arm
Chapter VIII
It seemed to me then in the minutes that followed that there were thousands of black de impact I shouted to Harry: ”Keep your back to the wall,” and for response I got a high, ringing laugh that breathed the joy of battle
The thing was sickening Harry is a natural fighting man; I am not
Without the wall at our backs ould have been overpowered in thirty seconds; as it ere forced to handle half a dozen of theed in froe of being able to see us
They clutched s, my body; there was no room to strike; I pushed the knife hos and feet and tried to bringat the head of one whose teeth were set in my calf, I cut myself on the knee It was difficult to stand in the wet, slippery pool that formed at my feet
Suddenly I heard a sound that I understood too well--the curious, rattling sound of a led
”Harry!” I cried, and I fought like a wild et to him, with knife, feet, hands, teeth I reached his coat, his arerous to strike so near hiround
Then I found the taut, straining fingers about his throat, and lunged forith the knife--and the fingers relaxed
Again ere fighting together side by side
As their bodies fell in front of us ere pressed harder, for those behind climbed up on the corpses of their fellows and literally descended on our heads froer; our breath was coasps; Harry stumbled on one of the prostrate brutes and fell; I tried to lift him and was unequal to the task
It appeared to be the end
Suddenly there rang throughout the cavern a sound as of a gigantic, deep-toned bell The walls sent it back and forth with deafening echoes; it was as though the mountain had descended with one treic, the assault ceased
The effect was indescribable We could see nothing; we er hands clutching at our throats or hairy bodies crushi+ng us to the ground It was as though the horde of unseen devils had round, for many of them had been wounded; a man cannot always reach the spot in the dark This lasted for two or threethose who still had life in the burdens was plainly audible
Misplaced molecular data >
........
Below is a structure of composition C12H29N5O8Sr, with properties calculated with ωB97M-V/def2-TZVPD.

Calculated values
- LUMO energy (spin up / spin down): -2.4 / -7.4 eV
- Total charge: +1
- Expectation value of S²: 0.758
- 2S+1: 2
- Max |F|: 4.99 eV/Å

```
55
Properties=species:S:1:pos:R:3:forces:R:3:mulliken_charge:R:1
Sr 0.26990 -0.08709 -0.15824 0.9 -1.5 2.6 1.680
C -4.19274 0.63409 -1.76012 1.6 -0.9 -0.1 -1.252
C -2.70594 0.39104 -1.34691 -5.0 0.0 0.4 0.711
O -1.87146 1.25643 -1.56149 2.3 0.9 -0.3 -0.209
O -2.32683 -0.55023 -0.61283 0.5 0.2 -0.6 -0.207
H -4.24255 1.15069 -2.71863 0.1 -0.1 0.0 0.414
H -4.73588 1.23017 -1.02679 0.3 -0.1 0.2 0.325
H -4.62047 -0.36558 -1.83631 -0.3 0.1 -0.1 0.359
C 4.15420 0.22283 1.96894 -1.4 0.0 0.5 -1.126
C 2.83972 -0.34854 1.37381 0.5 -0.7 0.6 0.698
O 1.76890 -0.26259 2.04415 0.0 0.6 -0.2 -0.578
O 2.88980 -0.94194 0.27011 -0.3 0.6 -0.9 -0.642
H 4.24223 1.26167 1.65090 0.4 -0.1 -0.4 0.226
H 5.03067 -0.39793 1.78301 -0.2 0.3 -0.3 0.321
H 3.97403 0.32769 3.03882 0.2 -0.2 0.1 0.316
C -1.40147 0.31403 3.13090 1.3 -0.3 0.1 0.226
O -1.14423 0.53006 1.97900 0.3 0.9 -3.5 -0.379
N -0.49391 0.09466 4.05810 2.5 -0.5 2.1 -0.367
N -2.60374 0.26903 3.61381 -4.1 0.1 1.0 -0.407
H 0.47200 0.29972 3.84583 0.1 -0.5 -0.5 0.220
H -0.65744 -0.67658 4.68939 0.1 0.4 0.1 0.200
H -3.36789 0.51419 3.00056 0.1 -0.1 0.2 0.243
H -2.71097 0.46121 4.59954 -0.2 -0.1 -0.3 0.197
C -1.13286 -3.41584 0.96842 -0.2 0.8 -0.3 0.660
O -0.32185 -2.65048 0.50614 2.2 1.5 -0.7 -0.575
N -2.34611 -3.44226 0.48326 -3.1 -0.6 -1.0 -0.326
N -0.94378 -4.20541 1.99650 1.7 -1.8 2.5 -0.495
H -2.55211 -2.86693 -0.32089 -0.2 -0.3 0.4 0.148
H -2.96675 -4.14882 0.85162 -0.4 0.4 -0.6 0.177
H 0.00584 -4.29567 2.32841 -0.1 0.1 0.0 0.254
H -1.59466 -4.87628 2.37912 0.0 0.3 -0.4 0.147
C -0.64528 -2.32106 -2.76608 0.5 -0.7 -1.9 -0.859
O 0.30111 -1.27799 -2.53898 -0.9 -0.4 1.8 -0.075
C 0.82607 -0.55215 -3.62013 -0.2 0.3 -0.2 -0.622
C 1.86267 0.37889 -3.01187 -0.2 -0.5 -0.6 -0.995
N 1.32868 1.21715 -1.93468 1.5 0.8 -0.3 0.092
C 2.40045 2.17633 -1.41398 -1.3 0.0 -0.7 -0.761
C 1.79373 3.15538 -0.39701 0.0 -1.6 -0.5 -0.753
O 1.23345 2.42940 0.70862 -0.6 1.5 0.3 0.042
C 0.32893 3.32946 1.42768 -0.3 -0.3 -0.1 -0.973
H -1.02314 -2.88554 -1.91362 0.6 0.8 0.5 0.054
H -0.14605 -3.06782 -3.38352 0.0 -0.2 -0.1 0.384
H -1.49432 -2.00099 -3.37004 -0.2 0.5 0.0 0.393
H 0.03102 -0.05053 -4.17182 -0.2 0.2 0.0 0.406
H 1.36668 -1.18089 -4.32762 -0.1 -0.3 -0.1 0.391
H 2.20671 1.07414 -3.77762 0.6 -0.5 -0.4 0.447
H 2.60466 -0.35766 -2.70361 0.6 0.8 0.5 0.315
H 0.67030 1.77317 -2.46143 -0.4 0.6 0.3 0.022
H 2.72012 2.80718 -2.24339 0.2 0.1 -0.2 0.496
H 3.29002 1.62072 -1.11723 -0.3 -0.2 0.5 0.364
H 0.95209 3.66945 -0.86122 0.1 0.4 -0.3 0.420
H 2.58894 3.86326 -0.16323 -0.2 0.2 0.6 0.372
H -0.52235 3.66162 0.83347 0.0 -0.3 -0.8 0.384
H 0.77343 4.27960 1.72389 0.7 -0.3 0.2 0.385
H -0.16156 2.83353 2.26527 0.7 -0.3 0.0 0.112
```
Forces are in eV/Å.
........
Gradually that, too, died aith the last reverberations of the mysterious sound that had saved us, and we found ourselves alone--or at least un, except the dim outlines of the prostrate forms at our feet
The cavern was a shahter-house I had had no idea of the desperateness of our defense until I essayed to scrarew faint, and Harry was in no better case
Worse, he had dropped his knife e sturope round in that unspeakable mess for many minutes before we found it
”Are you hurt, lad?” I asked when once we stood clear
”Nothing bad, I think,” he answered ”My throat is stiff, and two or three of the brutes got their teeth in me In the name of Heaven, Paul, what are they? And as that bell?”